• To do:
Type out the lines further below without additions.

• Excerpt:
********
Structure and computed powder X-ray diffraction pattern of Tl2CdTe4 (a structure optimized by DFT (PBE); Cu Kα (weighted mean of Kα1 and Kα2)).
Neutral-atom scattering factors, no anomalous dispersion.

Structure:
Unit cell a=7.932 b=7.932 c=7.932 alpha=132.23 beta=132.23 gamma=69.87
Fractional positions:
1 Tl 0.000 0.000 0.000
2 Tl 0.750 0.250 0.500
3 Cd 0.250 0.750 0.500
4 Te 0.172 0.166 0.563
5 Te 0.391 0.828 0.994
6 Te 0.603 0.609 0.437
7 Te 0.834 0.397 0.006

Largest 10 diffraction maxima, in order of rising 2θ, 2θ from 10° to 90°:
15.39 deg, intensity 12; 23.90 deg, intensity 100; 24.78 deg, intensity 13; 31.90 deg, intensity 19; 39.44 deg, intensity 50; 39.69 deg, intensity 24; 46.42 deg, intensity 15; 46.86 deg, intensity 28; 62.68 deg, intensity 12; 71.86 deg, intensity 13


No. 1
Starting from DFT lattice parameters and positions (GGA-PBE), the powder diffractogram of Sr2GdSbO6 was calculated for Cu Ka.
No peak broadening, texture or thermal motion is included.

Most intense lines, 2θ = 10–90°, in order of rising 2θ:
2θ/deg  I_rel
21.13  11
30.06  100
35.40  1
43.03  29
47.11  1
48.41  5
53.38  44
62.48  17
66.74  2
70.88  18
78.86  5
86.64  23

Structural model:
```
Sr2GdSbO6
1.0
8.4090 0.0000 0.0000
0.0000 8.4090 0.0000
0.0000 0.0000 8.4090
Sr Gd Sb O
8 4 4 24
Direct
0.2500 0.2500 0.2500
0.2500 0.2500 0.7500
0.2500 0.7500 0.2500
0.2500 0.7500 0.7500
0.7500 0.2500 0.2500
0.7500 0.2500 0.7500
0.7500 0.7500 0.2500
0.7500 0.7500 0.7500
0.0000 0.0000 0.0000
0.0000 0.5000 0.5000
0.5000 0.0000 0.5000
0.5000 0.5000 0.0000
0.0000 0.0000 0.5000
0.0000 0.5000 0.0000
0.5000 0.0000 0.0000
0.5000 0.5000 0.5000
0.0308 0.5374 0.7655
0.0308 0.9626 0.7345
0.0374 0.2345 0.5308
0.0374 0.2655 0.9692
0.2345 0.5308 0.0374
0.2345 0.9692 0.4626
0.2655 0.5308 0.4626
0.2655 0.9692 0.0374
0.4626 0.2345 0.9692
0.4626 0.2655 0.5308
0.4692 0.5374 0.7345
0.4692 0.9626 0.7655
0.5308 0.0374 0.2345
0.5308 0.4626 0.2655
0.5374 0.7345 0.4692
0.5374 0.7655 0.0308
0.7345 0.0308 0.9626
0.7345 0.4692 0.5374
0.7655 0.0308 0.5374
0.7655 0.4692 0.9626
0.9626 0.7345 0.0308
0.9626 0.7655 0.4692
0.9692 0.0374 0.2655
0.9692 0.4626 0.2345
```


No. 2
Starting from DFT lattice parameters and positions (GGA-PBE), the powder diffractogram of Sr2GdSbO6 was calculated for Cu Ka.
No peak broadening, texture or thermal motion is included.

Most intense lines, 2θ = 10–90°, in order of rising 2θ:
2θ/deg  I_rel
21.02  13
29.89  100
35.21  1
42.78  32
48.13  5
53.06  40
62.10  19
66.34  2
70.44  18
78.36  6
82.22  1
86.06  22

Structural model:
```
Sr2GdSbO6
1.0
0.0000 4.2273 4.2273
4.2273 0.0000 4.2273
4.2273 4.2273 0.0000
Sr Gd Sb O
2 1 1 6
Direct
0.2500 0.2500 0.2500
0.7500 0.7500 0.7500
0.0000 0.0000 0.0000
0.5000 0.5000 0.5000
0.2640 0.2640 0.7360
0.2640 0.7360 0.2640
0.2640 0.7360 0.7360
0.7360 0.2640 0.2640
0.7360 0.2640 0.7360
0.7360 0.7360 0.2640
```


No. 3
Starting from DFT lattice parameters and positions (GGA-PBE), the powder diffractogram of SrGd2Sc2O7 was calculated for Cu Ka.
No peak broadening, texture or thermal motion is included.

Most intense lines, 2θ = 10–90°, in order of rising 2θ:
2θ/deg  I_rel
22.41  18
25.64  29
26.27  15
31.17  100
31.27  70
41.28  28
44.81  41
54.53  14
55.40  13
55.59  39
73.15  12
74.09  20

Structural model:
```
SrGd2Sc2O7
1.0
-2.0228 2.0228 10.1781
2.0228 -2.0228 10.1781
2.0228 2.0228 -10.1781
Sr Gd Sc O
1 2 2 7
Direct
0.0000 0.0000 0.0000
0.1834 0.1834 0.0000
0.8166 0.8166 0.0000
0.3981 0.3981 0.0000
0.6019 0.6019 0.0000
0.1130 0.6130 0.5000
0.2888 0.2888 0.0000
0.3870 0.8870 0.5000
0.5000 0.5000 0.0000
0.6130 0.1130 0.5000
0.7112 0.7112 0.0000
0.8870 0.3870 0.5000
```


No. 4
Starting from DFT lattice parameters and positions (GGA-PBE), the powder diffractogram of Gd2SeO2 was calculated for Cu Ka.
No peak broadening, texture or thermal motion is included.

Most intense lines, 2θ = 10–90°, in order of rising 2θ:
2θ/deg  I_rel
25.75  12
29.37  100
37.16  41
39.06  10
46.46  34
47.72  17
53.87  9
55.92  17
60.93  10
********

• Here it is:
Structure and computed powder X-ray diffraction pattern of Tl2CdTe4 (a structure optimized by DFT (PBE); Cu Kα (weighted mean of Kα1 and Kα2)).
Neutral-atom scattering factors, no anomalous dispersion.

Structure:
Unit cell a=7.932 b=7.932 c=7.932 alpha=132.23 beta=132.23 gamma=69.87
Fractional positions:
1 Tl 0.000 0.000 0.000
2 Tl 0.750 0.250 0.500
3 Cd 0.250 0.750 0.500
4 Te 0.172 0.166 0.563
5 Te 0.391 0.828 0.994
6 Te 0.603 0.609 0.437
7 Te 0.834 0.397 0.006

Largest 10 diffraction maxima, in order of rising 2θ, 2θ from 10° to 90°:
15.39 deg, intensity 12; 23.90 deg, intensity 100; 24.78 deg, intensity 13; 31.90 deg, intensity 19; 39.44 deg, intensity 50; 39.69 deg, intensity 24; 46.42 deg, intensity 15; 46.86 deg, intensity 28; 62.68 deg, intensity 12; 71.86 deg, intensity 13


No. 1
Starting from DFT lattice parameters and positions (GGA-PBE), the powder diffractogram of Sr2GdSbO6 was calculated for Cu Ka.
No peak broadening, texture or thermal motion is included.

Most intense lines, 2θ = 10–90°, in order of rising 2θ:
2θ/deg  I_rel
21.13  11
30.06  100
35.40  1
43.03  29
47.11  1
48.41  5
53.38  44
62.48  17
66.74  2
70.88  18
78.86  5
86.64  23

Structural model:
```
Sr2GdSbO6
1.0
8.4090 0.0000 0.0000
0.0000 8.4090 0.0000
0.0000 0.0000 8.4090
Sr Gd Sb O
8 4 4 24
Direct
0.2500 0.2500 0.2500
0.2500 0.2500 0.7500
0.2500 0.7500 0.2500
0.2500 0.7500 0.7500
0.7500 0.2500 0.2500
0.7500 0.2500 0.7500
0.7500 0.7500 0.2500
0.7500 0.7500 0.7500
0.0000 0.0000 0.0000
0.0000 0.5000 0.5000
0.5000 0.0000 0.5000
0.5000 0.5000 0.0000
0.0000 0.0000 0.5000
0.0000 0.5000 0.0000
0.5000 0.0000 0.0000
0.5000 0.5000 0.5000
0.0308 0.5374 0.7655
0.0308 0.9626 0.7345
0.0374 0.2345 0.5308
0.0374 0.2655 0.9692
0.2345 0.5308 0.0374
0.2345 0.9692 0.4626
0.2655 0.5308 0.4626
0.2655 0.9692 0.0374
0.4626 0.2345 0.9692
0.4626 0.2655 0.5308
0.4692 0.5374 0.7345
0.4692 0.9626 0.7655
0.5308 0.0374 0.2345
0.5308 0.4626 0.2655
0.5374 0.7345 0.4692
0.5374 0.7655 0.0308
0.7345 0.0308 0.9626
0.7345 0.4692 0.5374
0.7655 0.0308 0.5374
0.7655 0.4692 0.9626
0.9626 0.7345 0.0308
0.9626 0.7655 0.4692
0.9692 0.0374 0.2655
0.9692 0.4626 0.2345
```


No. 2
Starting from DFT lattice parameters and positions (GGA-PBE), the powder diffractogram of Sr2GdSbO6 was calculated for Cu Ka.
No peak broadening, texture or thermal motion is included.

Most intense lines, 2θ = 10–90°, in order of rising 2θ:
2θ/deg  I_rel
21.02  13
29.89  100
35.21  1
42.78  32
48.13  5
53.06  40
62.10  19
66.34  2
70.44  18
78.36  6
82.22  1
86.06  22

Structural model:
```
Sr2GdSbO6
1.0
0.0000 4.2273 4.2273
4.2273 0.0000 4.2273
4.2273 4.2273 0.0000
Sr Gd Sb O
2 1 1 6
Direct
0.2500 0.2500 0.2500
0.7500 0.7500 0.7500
0.0000 0.0000 0.0000
0.5000 0.5000 0.5000
0.2640 0.2640 0.7360
0.2640 0.7360 0.2640
0.2640 0.7360 0.7360
0.7360 0.2640 0.2640
0.7360 0.2640 0.7360
0.7360 0.7360 0.2640
```


No. 3
Starting from DFT lattice parameters and positions (GGA-PBE), the powder diffractogram of SrGd2Sc2O7 was calculated for Cu Ka.
No peak broadening, texture or thermal motion is included.

Most intense lines, 2θ = 10–90°, in order of rising 2θ:
2θ/deg  I_rel
22.41  18
25.64  29
26.27  15
31.17  100
31.27  70
41.28  28
44.81  41
54.53  14
55.40  13
55.59  39
73.15  12
74.09  20

Structural model:
```
SrGd2Sc2O7
1.0
-2.0228 2.0228 10.1781
2.0228 -2.0228 10.1781
2.0228 2.0228 -10.1781
Sr Gd Sc O
1 2 2 7
Direct
0.0000 0.0000 0.0000
0.1834 0.1834 0.0000
0.8166 0.8166 0.0000
0.3981 0.3981 0.0000
0.6019 0.6019 0.0000
0.1130 0.6130 0.5000
0.2888 0.2888 0.0000
0.3870 0.8870 0.5000
0.5000 0.5000 0.0000
0.6130 0.1130 0.5000
0.7112 0.7112 0.0000
0.8870 0.3870 0.5000
```


No. 4
Starting from DFT lattice parameters and positions (GGA-PBE), the powder diffractogram of Gd2SeO2 was calculated for Cu Ka.
No peak broadening, texture or thermal motion is included.

Most intense lines, 2θ = 10–90°, in order of rising 2θ:
2θ/deg  I_rel
25.75  12
29.37  100
37.16  41
39.06  10
46.46  34
47.72  17
53.87  9
55.92  17
60.93  10